's Take on the 60 Minutes story, "Going Smokeless". 7 April 2010. on April 07, 2010 Get link Facebook X Pinterest Email Other Apps Watch 60 Minutes: "Going Smokeless".In regards to the original video, "Going Smokeless", I want to say thank you, 60 Minutes, for presenting a fair and balanced story on smokeless tobacco, snus, in particular, and some of the harm reduction practices. I was very pleased to see this story, and believe it had a positive message in it with a lot of important facts included, as well. I did have a few things I wanted to address, and a few opinions of my own I wanted to offer.First, the "dual user", is not characteristic of a snus user. It's just not a common thing you see very often. I support this with the hundreds of snus users I've met in the U.S. and internationally over the past year that I have been active in the snus community. I can also say this of myself, because I started out as an "attempted dual user". I started snus to help me with my cigarette cravings when I was busy, or in a place that I couldn't smoke. But the longer I used snus - I noticed a change. I started using more snus, and less cigarettes, until I got to the point that I had completely quit smoking and was using snus exclusively. Snus is naturally a better nicotine delivery system, and I've noticed this in others who have took up snus as well, that it will replace your desire for cigarettes (I can't say this is true of 100% of all snus users, but I can say I have observed this in a majority of people I have known to use snus), and will help you quit smoking. I was a pack a day cigarette smoker for roughly 8 years. I had tried everything - the patch, gum, Chantix, you name it - I had tried it. Snus was the ONLY thing that ever worked for me. The health benefits? Great. As Dr. Karl Fagerström stated, "Many authorities....somewhere between 90-99% less harmful than smoking." "They have reduced their risk from a skyscraper to a two story building." I couldn't agree more. I have noticed my health to be dramatically improved from switching to snus, as well as lowering my risk of lung cancer, heart disease, and studies have also shown it lowers the risk of multiple sclerosis. In regards to it impacting dental health/oral hygeine - I disagree. Since switching to snus, my dentist had even noticed a difference. As a smoker, he would frequently tell me of the negative impact of smoking on oral hygiene, and after I quit smoking and gradually started using snus more, he remarked visit after visit how my teeth were improving, and would often ask me what I was doing to make this happen? When I told him I had quit smoking and was using snus, he was astonished that an oral tobacco product was not causing any negative impact to my oral hygiene. There have been other studies as well, and many have remarked on the health benefits of quitting smoking with snus, and the harm reduction strategy.In the Harm Reduction Journal, Dr. Carl Phillips noted the following. "It has long been known that while no nicotine product is completely harmless, harm reduction products pose only about 1% the risk from smoking," says Dr. Phillips, "and this difference is so great that for the average smoker, using a smokeless product for the rest of his life poses about the same risk as 30 days of continuing to smoke." Given the ample evidence about the risks of different products, "there is no scientific basis for denying the benefits of tobacco harm reduction" says Phillips, "and it is time that we offer smokers honest public health interventions rather than the moralizing and deadly 'abstinence-only' approach."From a USA Today article on snus, "For a smoker, quitting all tobacco use is best, but failing that, switching to snus is a good idea," said Dr. Peter Hajek, professor of clinical psychology at Queen Mary University Hospital in London. From Dr. Brad Rodu's Tobacco Truth Blog: "Researchers at the Karolinska Institute of Environmental Medicine in Stockholm have just released a new study of tobacco use and MS, which was published in the September 1 issue of the journal Neurology. They compared tobacco use among persons diagnosed with MS (cases) with a group of controls derived from the Swedish population. This experimental design, called a population-based case-control study, is common in epidemiology....." "In contrast to smoking, the study found that snus users had lower risks for MS than nonusers of tobacco."What is this telling us? That snus can be used to quit smoking. I know it, I've seen it myself. As said in the 60 Minutes story, it's not called "harm elimination." This strategy is called "harm reduction". And if all else fails for people, turning to snus from cigarettes can be a good idea with positive benefits on the individuals health.On to Karla Sneegas, from the Anti-Tobacco program in Indiana. She is an example of what many people refer to as an "anti-tobacco zealot" who believes abstinence from tobacco is the best practice. I don't believe she was ever a smoker, because anyone who had smoked knows just how hard it is to quit smoking. She believes that another form of tobacco, even in a harm reduction practice, is just as "evil" as a cigarette. I firmly believe, in the interest of public health, that snus is a less harmful product and promotes better public health. I've said it for as long as I've been writing about snus, "LOOK AT SWEDEN." If the United States had a similar health practice regarding harm reduction and the use of snus we would have less cancer cases here than we already do. 45 Million smokers in the United States is NOT a good thing. Karla, no matter how you look at it - some people just CAN'T quit with patches, gum, Chantix, or even cold turkey. Which is why Dr. Karl Fagerström, remarks "Under certain circumstances, yes, the last resort would be to please, try snus, give it a chance." Karla Sneegas says, "We can't say these products are safer...", but if you look at studies, I believe we can. It's being reported that 90% of people who try the patch or gum fail. Isn't it fair, in the interest of public health, that we offer another option? Snus IS that option, and from what I have observed it can be successful when all other options fail. It's people like this who are hurting, not helping. By denying the benefits of these products to people who can't otherwise quit we are working against the health of our fellow brothers and sisters on this Earth when we should be working with them, to help those who want better health, who have said they want to quit smoking but just can't seem to make it happen.Dr. Karl Fagerström delivered what I believe to be one of the most realistic statements about snus use and addiction. "Addiction is regarded as unnatural state, so addiction is a problem, but it's less of a problem than lung cancer." I agree. Snus is a form of tobacco that can be used by people who can't quit smoking by their own means, or the help of various drugs and other options, to quit smoking. And in this modern era I believe it is time we move forward into the future and embrace the practice of harm reduction in the interest of public health and do not shy away from the benefits of "Going Smokeless". Watch 60 Minutes: "Extra: Quitting Smoking - The Patch, Gum, or Snus?".In regards to the second video, "Extra: Quitting Smoking - The Patch, Gum, or Snus?", the last statement made by Dr. Karl Fagerström, I couldn't agree more. "Under certain circumstances, yes, the last resort would be to please, try snus, give it a chance." "They have reduced their risk from a skyscraper to a two story building." I agree. The facts speak for themselves, the health studies aren't just from the "Pro Tobacco Camp", but from doctors and people who have spent time in the field researching this very matter. I am a PROUD EX-smoker and I would never have been able to say that if it wasn't for snus. I am looking forward to a longer life and being around for the people I love most, and using the harm reduction strategy to quit smoking with the use of snus has given me that possibility, enabled that future, and brightened my outlook on life. Comments chi dura vinceApril 7, 2010 at 3:16 AMHi ChadI'm also an ex-smoker due to Snus, in fact the first reason that i looked for SNUS was to quit cigs.I do support the harm reduction strategy, I am a psychologist, I know what i'm talking about, SNUS helped me to change my behavioural patterns and rituals associated with cigarrettes, it was the main reason for my relapses from patches, gum and champix (i guess its the same chantix you's from pfeizer labs).I do like nicotine, and I'm addicted to it, but i can reason that, and feel fine about it, snus gave me the oportunity to take my life back from the constant drama and harassment from "No-smoke" advocates.I feel fine, and will be thanks to Snus.Once again thank you for your reviews.PaulReplyDeleteRepliesReplyChad JonesApril 7, 2010 at 7:37 AMHi, Paul!Glad to see more people in the professional health sector who are supporting this. I'm glad snus has helped you with your FORMER cigarette habit! I have seen it happen with so many people, and I'm glad to see there is an alternative for those who want to quit but just can't seem to do it on their own. Also, if you feel like discussing or sharing your opinions, join us over at the snus forum at, would love to hear your opinions there if you want to share them!ChadReplyDeleteRepliesReplyAdd commentLoad more... Post a Comment
Hi Chad
ReplyDeleteI'm also an ex-smoker due to Snus, in fact the first reason that i looked for SNUS was to quit cigs.
I do support the harm reduction strategy, I am a psychologist, I know what i'm talking about, SNUS helped me to change my behavioural patterns and rituals associated with cigarrettes, it was the main reason for my relapses from patches, gum and champix (i guess its the same chantix you's from pfeizer labs).
I do like nicotine, and I'm addicted to it, but i can reason that, and feel fine about it, snus gave me the oportunity to take my life back from the constant drama and harassment from "No-smoke" advocates.
I feel fine, and will be thanks to Snus.
Once again thank you for your reviews.
_Someone pasted calculated crystals at this point_
[1]
## RbMg14CoO16 (PBE with a Hubbard U)

Data for RbMg14CoO16 after structural relaxation.

abc: 8.7935 8.6585 4.3365
angles: 90.00 90.00 90.00
Fractional coordinates of all 32 atoms:
O 0.2474 0.7497 0.5000
O 0.7407 0.0000 0.0000
O 0.0000 0.2174 0.0000
O 0.0000 0.5000 0.5000
O 0.0000 0.0000 0.5000
O 0.7526 0.2503 0.5000
O 0.5000 0.0000 0.5000
O 0.2474 0.2503 0.5000
O 0.5000 0.2440 0.0000
O 0.2593 0.0000 0.0000
O 0.0000 0.7826 0.0000
O 0.7526 0.7497 0.5000
O 0.5000 0.5000 0.5000
O 0.7210 0.5000 0.0000
O 0.2790 0.5000 0.0000
O 0.5000 0.7560 0.0000
Mg 0.2570 0.2464 0.0000
Mg 0.2644 0.5000 0.5000
Mg 0.5000 0.7519 0.5000
Mg 0.7356 0.5000 0.5000
Mg 0.0000 0.2389 0.5000
Mg 0.7478 0.0000 0.5000
Mg 0.7430 0.7536 0.0000
Mg 0.7430 0.2464 0.0000
Mg 0.2522 0.0000 0.5000
Mg 0.0000 0.7611 0.5000
Mg 0.2570 0.7536 0.0000
Mg 0.5000 0.5000 0.0000
Mg 0.5000 0.0000 0.0000
Mg 0.5000 0.2481 0.5000
Co 0.0000 0.0000 0.0000
Rb 0.0000 0.5000 0.0000

[2]
## CsNiF3 (PBE with a Hubbard U)

Data for CsNiF3 after structural relaxation.

abc: 6.1092 6.1092 14.7155
angles: 90.00 90.00 120.00
Fractional coordinates of all 30 atoms:
Cs 0.3333 0.6667 0.0940
Cs 0.6667 0.3333 0.5940
Cs 0.0000 0.0000 0.7500
Cs 0.6667 0.3333 0.9060
Cs 0.3333 0.6667 0.4060
Cs 0.0000 0.0000 0.2500
Ni 0.3333 0.6667 0.8464
Ni 0.3333 0.6667 0.6536
Ni 0.6667 0.3333 0.3464
Ni 0.6667 0.3333 0.1536
Ni 0.0000 0.0000 0.0000
Ni 0.0000 0.0000 0.5000
F 0.5245 0.4755 0.2500
F 0.8344 0.1656 0.4209
F 0.9511 0.4755 0.2500
F 0.4755 0.9511 0.7500
F 0.5245 0.0489 0.2500
F 0.3312 0.1656 0.0791
F 0.4755 0.5245 0.7500
F 0.1656 0.8344 0.5791
F 0.8344 0.6688 0.4209
F 0.6688 0.8344 0.5791
F 0.1656 0.8344 0.9209
F 0.8344 0.6688 0.0791
F 0.0489 0.5245 0.7500
F 0.1656 0.3312 0.9209
F 0.3312 0.1656 0.4209
F 0.6688 0.8344 0.9209
F 0.8344 0.1656 0.0791
F 0.1656 0.3312 0.5791

[3]
## CrO2 (PBE with a Hubbard U)

Data for CrO2 after structural relaxation.

abc: 5.9436 5.9499 17.6747
angles: 59.62 59.74 60.00
Fractional coordinates of all 36 atoms:
O 0.2659 0.2620 0.9027
O 0.3149 0.7287 0.2421
O 0.2707 0.2745 0.7528
O 0.3054 0.7353 0.5752
O 0.2360 0.7088 0.1061
O 0.2456 0.7679 0.9062
O 0.7330 0.3064 0.5761
O 0.2696 0.2686 0.4221
O 0.7504 0.7510 0.0824
O 0.2356 0.2363 0.1065
O 0.2618 0.2609 0.2386
O 0.2702 0.6980 0.7535
O 0.7676 0.7682 0.9056
O 0.2678 0.2689 0.5652
O 0.7305 0.3127 0.2423
O 0.2712 0.6942 0.4214
O 0.7083 0.2362 0.1063
O 0.7342 0.7331 0.4329
O 0.7690 0.2465 0.9050
O 0.7307 0.7287 0.2423
O 0.6959 0.2677 0.4226
O 0.7344 0.7349 0.5754
O 0.6983 0.2733 0.7526
O 0.7173 0.7220 0.7800
Cr 0.0021 0.5015 0.4984
Cr 0.0176 0.4926 0.1657
Cr 0.5040 0.5012 0.3307
Cr 0.5014 0.5006 0.4987
Cr 0.5010 0.0023 0.4984
Cr 0.4922 0.0174 0.1659
Cr 0.4925 0.4923 0.1656
Cr 0.4980 0.0109 0.8310
Cr 0.0060 0.4951 0.8344
Cr 0.5019 0.5054 0.6640
Cr 0.8806 0.8780 0.9538
Cr 0.4968 0.4964 0.8326

[4]
## Eu2Fe2O5 (PBE with a Hubbard U)

Data for Eu2Fe2O5 after structural relaxation.

abc: 3.9612 3.9612 7.5014
angles: 90.00 90.00 90.00
Hi, Paul!
ReplyDeleteGlad to see more people in the professional health sector who are supporting this. I'm glad snus has helped you with your FORMER cigarette habit! I have seen it happen with so many people, and I'm glad to see there is an alternative for those who want to quit but just can't seem to do it on their own.
Also, if you feel like discussing or sharing your opinions, join us over at the snus forum at, would love to hear your opinions there if you want to share them!